Living among the comforts that most Americans take for granted — running water, heat, electricity, automobiles, clean clothing and fresh food, it’s difficult to LeAnn Rogan, a member of St. Anne Parish, Pleasant Prairie, poses with Olivia Beltre and her grandchildren, Gima, left in Beltre’s arms, and Magui in Rogan’s arms, in front of Beltre’s home, the home in which Rogan stayed during her 2008 immersion experience in the Dominican Republic. (Submitted photo courtesy LeAnn Rogan)imagine that in living without these things, one might sense a deeper presence of Jesus and the power of the Holy Spirit, and feel more at home than anyplace else.
For Racine resident, LeAnn Rogan, member of St. Anne Parish, Pleasant Prairie, the warm feeling of home within the La Sagrada Familia in the Dominican Republic enveloped her so deeply that she returned three years later, and she has plans to continue.
“On our first trip in July, 2008, my daughter McKenna and I shared a room in (a woman named) Olivia’s home in the poor village of Ganadero,” she said. “Olivia (Beltre) became our mother for the week, mi madre por la semana y en Cristo por siempre (…and in Christ, forever). She made her income by butchering animals in her yard and selling the meat to her neighbors.”
In spring 2011, wishing to reunite with her La Sagrada friends, Rogan joined the Archdiocesan Lenten Pilgrimage, sponsored by World Mission Ministries, for her second immersion experience. On the return trip, she stayed with a family in Sebana Yegua, near the parish rectory and home of Fr. Marti Colom.
“Morena was my host,” explained Rogan. “Her husband, their two children and one niece gave up a bedroom for me. Their modest home was quite comfortable and had running water. This was a great privilege we did not have in Ganadero three years earlier.”
The idea to travel to the Dominican Republic came from McKenna, then 14, who, after learning of previous trips by several St. Anne parishioners, wanted to go. Although Rogan wanted her daughter to experience the mission trip, she was uncomfortable allowing her to travel without her. The mother
LeAnn Rogan Age: 46 |
and daughter decided to experience the Dominican Republic during the summer.
St. Anne Parish has a twinning relationship with its sister parish, La Sagrada Familia. The eight-member St. Anne team travels at least once per year to visit La Sagrada Familia, and works to educate parishioners and involve them in prayer and support. Before the eight-day trip, Rogan and McKenna learned about the relationship which is in its 32nd year.
(Calculated crystals from another source follow)
+++
# 1
Theoretical PXRD pattern of BAs3F for Cu Kα X-rays, from the GGA-PBE geometry in Alexandria.
No peak broadening, texture or thermal motion is included.

Principal peaks in the range 2θ from 10° to 80°, most intense first:
- 35.55°, d 2.525, rel. 1000, hkl 1 1 1
- 41.28°, d 2.187, rel. 554, hkl 2 0 0
- 71.54°, d 1.319, rel. 368, hkl 3 1 1
- 59.80°, d 1.546, rel. 355, hkl 2 2 0
- 20.30°, d 4.374, rel. 234, hkl 1 0 0
- 75.26°, d 1.263, rel. 118, hkl 2 2 2
- 46.42°, d 1.956, rel. 103, hkl 2 1 0
- 28.87°, d 3.093, rel. 102, hkl 1 1 0
- 63.84°, d 1.458, rel. 51, hkl 3 0 0
- 51.15°, d 1.786, rel. 49, hkl 2 1 1
- 78.91°, d 1.213, rel. 24, hkl 3 2 0
- 67.75°, d 1.383, rel. 23, hkl 3 1 0

Crystal structure
```
5
Lattice="4.374 0.000 0.000 0.000 4.374 0.000 0.000 0.000 4.374" Properties=species:S:1:pos:R:3 pbc="T T T"
B 0.000 0.000 0.000
As 0.000 0.000 2.187
As 0.000 2.187 0.000
As 2.187 0.000 0.000
F 2.187 2.187 2.187
```



# 2
Theoretical PXRD pattern of ZrTl2Te for Cu Kα X-rays, from the GGA-PBE geometry in Alexandria.
No peak broadening, texture or thermal motion is included.

Principal peaks in the range 2θ from 10° to 80°, most intense first:
- 32.26°, d 2.775, rel. 1000, hkl 0 1 2
- 34.98°, d 2.565, rel. 647, hkl 1 1 0
- 32.50°, d 2.755, rel. 331, hkl 1 0 2
- 26.64°, d 3.346, rel. 225, hkl 1 0 -1
- 60.93°, d 1.520, rel. 215, hkl 1 2 -2
- 31.29°, d 2.859, rel. 145, hkl 0 0 3
- 50.22°, d 1.817, rel. 117, hkl 0 2 0
- 50.39°, d 1.811, rel. 116, hkl 2 0 0
- 61.10°, d 1.517, rel. 109, hkl 1 2 2
- 61.30°, d 1.512, rel. 109, hkl 2 1 2
- 42.14°, d 2.144, rel. 96, hkl 0 0 4
- 47.47°, d 1.915, rel. 94, hkl 1 1 -3

Crystal structure
```
4
Lattice="3.622 0.000 0.000 0.000 3.634 0.000 -0.077 0.000 8.577" Properties=species:S:1:pos:R:3 pbc="T T T"
Zr 0.000 0.000 0.000
Tl -0.027 0.000 4.385
Tl 1.799 1.817 2.034
Te 1.735 1.817 7.123
```



Repeat the second record exactly.
Theoretical PXRD pattern of ZrTl2Te for Cu Kα X-rays, from the GGA-PBE geometry in Alexandria.
No peak broadening, texture or thermal motion is included.

Principal peaks in the range 2θ from 10° to 80°, most intense first:
- 32.26°, d 2.775, rel. 1000, hkl 0 1 2
- 34.98°, d 2.565, rel. 647, hkl 1 1 0
- 32.50°, d 2.755, rel. 331, hkl 1 0 2
- 26.64°, d 3.346, rel. 225, hkl 1 0 -1
- 60.93°, d 1.520, rel. 215, hkl 1 2 -2
- 31.29°, d 2.859, rel. 145, hkl 0 0 3
- 50.22°, d 1.817, rel. 117, hkl 0 2 0
- 50.39°, d 1.811, rel. 116, hkl 2 0 0
- 61.10°, d 1.517, rel. 109, hkl 1 2 2
- 61.30°, d 1.512, rel. 109, hkl 2 1 2
- 42.14°, d 2.144, rel. 96, hkl 0 0 4
- 47.47°, d 1.915, rel. 94, hkl 1 1 -3

Crystal structure
```
4
Lattice="3.622 0.000 0.000 0.000 3.634 0.000 -0.077 0.000 8.577" Properties=species:S:1:pos:R:3 pbc="T T T"
Zr 0.000 0.000 0.000
Tl -0.027 0.000 4.385
Tl 1.799 1.817 2.034
Te 1.735 1.817 7.123
```

----------

This entry pairs a crystal structure of Re2TcRu5 with its theoretical powder XRD pattern. Radiation: CuKα. Structure: a crystal structure in Alexandria, relaxed with PBE.
+++
“Living with the poor is not easy. I was especially mindful that my 14-year-old daughter might find it especially challenging to live without a working shower. I found it useful to think of the immersion experience as a little like camping and figured I could do without a real bathroom for a few days. One really appreciates warm, running water after a mission trip,” she explained. “Almost immediately though, I fell in love with the people. I felt such a deep, warm and overwhelming love for the Dominicans that I found myself ‘verklempt’ (a Yiddish term for choked up, or close to tears) much of the time.”
Throughout each immersion experience, Rogan integrated her life with those of area residents, making friends, building relationships, and learning the culture. She visited a jail, schools, nutrition centers, a clinic, various villages and homes, farms and churches. As she lived, ate and prayed alongside the families, the conveniences of home faded.
“We read books to children, served them meals, sat under the shade of trees with the aged, listened at a town hall meeting, went to Mass many times, fed pigeons, sang songs, brought bleach to the prison during the Cholera outbreak after Haiti’s earthquake, played in the ocean and on the beach with the children,” she said. “We loved. We hugged. We kissed. We held one another. We loved.”
Because of her 16 days in the Dominican Republic, Rogan has life-long friends who live a half a world away. The most rewarding aspect of the experiences was the opportunity to see the face of Christ in the people who have become very dear to her, she said.
Attached: calculated crystals.
........
LiBiF4: calculated powder diffraction line list (a wavelength of 1.5418 Å), based on a cell relaxed with PBE.

Largest 6 diffraction maxima, sorted by position, 15 to 90 degrees two-theta:
- hkl 1 0 1, 2θ 18.3, d 4.840, rel. 100
- hkl 1 1 2, 2θ 28.4, d 3.146, rel. 76
- hkl 2 1 1, 2θ 38.4, d 2.343, rel. 36
- hkl 1 2 3, 2θ 44.8, d 2.021, rel. 26
- hkl 2 0 4, 2θ 46.7, d 1.943, rel. 25
- hkl 1 3 2, 2θ 56.7, d 1.622, rel. 25

Structural model:
```
data_LiBiF4
_space_group_name_H-M_alt 'I 41/a'
_space_group_IT_number 88
_cell_length_a 5.3559
_cell_length_b 5.3559
_cell_length_c 11.2987
_cell_angle_alpha 90.00
_cell_angle_beta 90.00
_cell_angle_gamma 90.00
loop_
_space_group_symop_operation_xyz
'x,y,z'
'-x,-y,-z'
'-y+3/4,x+1/4,z+1/4'
'y+3/4,-x+1/4,-z+1/4'
'-x+1/2,-y,z+1/2'
'x+1/2,y,-z+1/2'
'y+3/4,-x+3/4,z+3/4'
'-y+3/4,x+3/4,-z+3/4'
'x+1/2,y+1/2,z+1/2'
'-x+1/2,-y+1/2,-z+1/2'
'-y+1/4,x+3/4,z+3/4'
'y+1/4,-x+3/4,-z+3/4'
'-x,-y+1/2,z'
'x,y+1/2,-z'
'y+1/4,-x+1/4,z+1/4'
'-y+1/4,x+1/4,-z+1/4'
loop_
_atom_site_label
_atom_site_fract_x
_atom_site_fract_y
_atom_site_fract_z
_atom_site_occupancy
Li1 0.0000 0.2500 0.1250 1
Bi1 0.0000 0.2500 0.6250 1
F1 0.1616 0.0263 0.7944 1
```

----------

Calculated powder X-ray diffraction pattern
Compound: Fe3Sb2Br4O4
Radiation: Cu Kα X-rays
Structure: the GGA+U geometry in Alexandria
Kinematic intensities with the Lorentz-polarization factor, no thermal factor.

Peak list (8 most intense, 10 to 90 degrees two-theta, by angle)
13.5°, I = 88, (0 0 1); 22.5°, I = 75, (0 3 1); 27.0°, I = 40, (1 2 1); 27.6°, I = 100, (2 0 -1); 30.2°, I = 66, (1 3 1); 30.9°, I = 38, (1 3 -2); 36.5°, I = 38, (0 4 2); 39.8°, I = 36, (2 0 -3)

```
data_Fe3Sb2Br4O4
_chemical_formula_sum 'Fe6 Sb4 Br8 O8'
_space_group_name_H-M_alt 'P 1 21 1'
_space_group_IT_number 4
_cell_length_a 6.4689
_cell_length_b 14.8784
_cell_length_c 7.2197
_cell_angle_alpha 90.00
_cell_angle_beta 114.68
_cell_angle_gamma 90.00
loop_
_space_group_symop_operation_xyz
'x,y,z'
'-x,y+1/2,-z'
loop_
_atom_site_label
_atom_site_fract_x
_atom_site_fract_y
_atom_site_fract_z
Fe1 0.0123 0.0000 0.4932
Fe2 0.2496 0.7558 0.4999
Fe3 0.4875 0.5116 0.5062
Sb1 0.1676 0.1977 0.2893
Sb2 0.3330 0.3140 0.7108
Br1 0.0616 0.8730 0.1850
Br2 0.1193 0.5967 0.2570
Br3 0.3803 0.9149 0.7429
Br4 0.4374 0.6386 0.8149
O1 0.0525 0.2554 0.4913
O2 0.2224 0.0795 0.4283
O3 0.2778 0.4321 0.5715
O4 0.4482 0.2562 0.5088
```

----------

(1)
Na2BeGeTe4: computed powder X-ray diffraction pattern (λ = 1.5418 Å (Cu Kα)), based on a GGA-PBE-relaxed structure.
Intensities are scaled so that the largest is 100.

Structural model:
```
Na2BeGeTe4
1.0
-3.5717 3.5717 4.9987
3.5717 -3.5717 4.9987
3.5717 3.5717 -4.9987
Na Be Ge Te
2 1 1 4
Cartesian
0.0000 0.0000 0.0000
0.0000 3.5717 2.4993
0.0000 0.0000 4.9987
3.5717 0.0000 2.4993
1.7438 -1.2947 3.8888
2.2770 1.8278 1.1099
1.8278 4.8663 -1.1099
1.2947 1.7438 6.1086
```

Peak list (10 most intense, 5 to 70 degrees two-theta, low angle first)
d [Å]  Rel. int.
5.812  26
3.572  18
........
“When they hurt, I hurt; when they are full of joy, my heart overflows,” she said, adding, “If one fully enters into a mission experience, one cannot help but be transformed in some way. Though I value the abundance of fresh, clean water we have here, I cannot say that I now use it in a miserly way, or that I’ve sold all my belongings and can now do without. What I can say is that I have witnessed an example from my Dominican friends of how to be happy while living with less, and this is a valuable lesson I am grateful for.”
A former teacher, now a stay-at-home mom, Rogan has served as a catechist for the past 31 years. She began at 15 by serving St. Joseph Parish, Grafton, and for the past 10 years, teaching the 3- and 4-year-olds at St. Anne in a Montessori-based program called “Catechesis of the Good Shepherd.”
She and her husband Mark have been married for 20 years and have two children — McKenna, now 18, and a student at Washington University in St. Louis, and Adam,17, a junior at St. Catherine High School, Racine.
Being part of the immersion experience is something Rogan hopes to continue.
“There is something extremely beautiful about the universal church, knowing that we are all part of that mystical Body of Christ,” she explained. “I have been his legs, and walked where he wanted me to go, and I will go again where he leads me, to be his hands and serve, to be his heart and love.”